LDWA 100 – Jenni Coelho (the Story of the 100)
As I’ve mentioned on previous updates, I’m so pleased to read the accounts of entrants to the LDWA 100 last week. It’s a reminder of just how many people took part in the event in so many delightful parts of the UK and how different people took to walking their 100 miles.
This is the walk of Jenni Coelho, who is from the very exciting North of Scotland group (formerly the North West Grampian group) which is also the home group of LDWA chair Julie Cribb. I love the distractions of food and drink in this account, and I suspect I would have stopped for an ice cream if the opportunity had arisen later on during the walk. Although Jenni didn’t quite finish this one, I’m sure she’ll be back for more and I’m impressed she went out running the next day. How very brave 🙂
Anyway, before I get distracted with food again (Julie does that to me), here’s Jenni’s account of the Moray Meander in her own words.
I was a relatively late sign up to the Virtual 100. My original plans for the Bank Holiday Weekend were taking part in the Cairngorm to Coast Challenge (a hike and bike event). Unfortunately, due to covid restrictions this had been postponed.
Since the end of January I had been putting in plenty of miles doing another virtual event, the GB Ultras Race Across the Alps, which was finishing on the Bank Holiday Weekend. So I needed to find something else for a grand finish. My mind had already started ticking away on possibly doing the LDWA 100 and whilst out for a run mid April I came across Bea from my local group (North of Scotland) who encouraged me to enter, as she, Julie, Rikky and a couple of others were planning on doing the Loch Ness 360. Duly persuaded, I entered that evening!
Covid of course, had to throw a spanner in the works. In the week before the whole of Scotland was supposed to be moving down a level, there was a spike in cases in Moray and we remained in Level 3. This meant that I potentially wouldn’t be able to travel to do the Loch Ness 360 (and neither importantly would my Other Half be able to support us).
So, back to the drawing board for Plan B, a route within Moray.
First choice, the obvious one, was two laps of our own 50 mile Challenge walk, the Laich o’Moray 50. The route almost passes my front door, so chance for a middle of the walk shower and snooze. The danger with this one was I might not easily awake from the snooze. Bea decided on an out and back along the Dava Way, a rest at her house and then a loop of the Laich o’Moray.
I eventually decided on a route taking me from my home in Elgin, out to Lossie Woods, leading to the coastal path taking me all the way along to Cullen (for an ice-cream!) then back to Buckie. From here I would come inland, over the hill to Keith following the Fisherwives Trail, then from Keith picking up the Isla Way to Dufftown. Then I would join the Speyside Way, passing through Craigellachie, up over Ben Aigen for a lovely sunrise, up to Spey Bay, where I would rejoin the Coastal Path heading west to Hopeman, then finishing inland at the historic Duffus Castle. A fabulous route (if I do say so myself!).
I decided to make virtual checkpoints around every five miles, ensuring that I would eat and drink at regular intervals and have five minutes with the weight off my feet. I would be mostly self supported, with my OH meeting me at three points: 47 miles for a change of clothes and coffee; 72 miles, again for a change of clothes and a flask of coffee and of course 100 miles at the finish. And so, the Moray Meander 100 was born.
The following weeks were spent recceing parts of the route which I hadn’t done before and with a warm and dry forecast for the Bank Holiday weekend everything was looking positive. I was loving all the pre-event chat on the Facebook page with all the people all over the country preparing for the weekend. It was suggested to post updates on the day to the Facebook page, so I decided to do this.

The actual day arrived. I was up nice and early, my plan was to leave about 5am and I left at 5.30 am (very good for the Queen of Faff). The weather was perfect for walking, the haar was hanging about and didn’t lift properly until it was nearly lunchtime. This meant a lot of the coastal walking which could have been quite brutal in the heat was undertaken in cool conditions.

The coastal path into Cullen involves a wee section over rocks, which when I arrived was a little challenging due to an incoming and high tide. I decided to take the alternative route back to Portknockie along the old railway line. However, the route onto the iconic viaduct was not obvious to someone who had been on the go for ten hours. So I lost an additional 15 minutes or so getting myself onto the viaduct (without going through someone’s garden!!).

Progress was pretty good, with my overall timings only slipping about 15 minutes – but with the 30 minutes added on for late departure, I possibly shouldn’t have sat down for quite so long in Cullen eating a very large and very delicious rum and raisin ice-cream.

Records of molecules from another source follow:
********
Entry 1:
Density functional theory data (ωB97M-V/def2-TZVPD) for 11 unconnected molecules or ions with the total composition C16H46ClFN21O14.

Structure (XYZ):
```
99
Properties=species:S:1:pos:R:3:mulliken_charge:R:1
N -0.33 -2.45 2.31 -0.60
C -1.81 -2.74 2.01 1.23
C -2.62 -1.37 2.42 -1.04
C -2.31 -0.86 3.98 0.40
O -2.66 0.42 4.25 -0.50
F -1.68 -1.70 5.03 -0.23
C -2.20 -4.06 2.90 -0.79
C -3.77 -4.17 3.35 0.51
O -4.83 -3.72 2.67 -0.48
Cl -4.10 -5.07 4.98 -0.25
C -1.98 -3.04 0.37 -0.13
O -0.99 -2.71 -0.48 -0.54
O -3.26 -3.69 -0.06 -0.70
H 0.25 -3.25 1.96 0.35
H -0.07 -1.54 1.82 0.12
H -2.17 -0.50 1.74 0.39
H -3.77 -1.38 2.18 0.42
H -1.52 -4.21 3.86 0.32
H -1.98 -5.01 2.20 0.45
C 2.61 -1.72 0.07 0.68
O 2.07 -2.44 0.89 -0.66
N 2.48 -0.38 0.08 -0.34
N 3.39 -2.19 -0.92 -0.30
H 2.92 0.24 -0.59 0.17
H 1.90 0.02 0.81 0.19
H 3.51 -3.19 -0.97 0.15
H 3.84 -1.61 -1.61 0.11
C -1.24 3.22 7.48 0.60
O -0.92 4.27 8.03 -0.72
N -1.06 2.02 8.05 -0.37
N -1.81 3.19 6.26 -0.18
H -1.32 1.15 7.61 0.16
H -0.64 2.00 8.97 0.21
H -1.96 4.08 5.80 0.16
H -2.07 2.34 5.79 0.18
C 4.04 -2.70 -4.72 0.57
O 4.83 -2.51 -3.81 -0.70
N 2.80 -2.19 -4.72 -0.12
N 4.35 -3.44 -5.81 -0.24
H 2.14 -2.34 -5.46 0.14
H 2.53 -1.64 -3.92 0.14
H 5.28 -3.84 -5.85 0.16
H 3.71 -3.60 -6.57 0.08
C 3.58 1.04 -7.08 0.69
O 2.55 0.39 -7.17 -0.61
N 3.69 2.30 -7.55 -0.41
N 4.69 0.56 -6.49 -0.37
H 4.53 2.85 -7.48 0.15
H 2.87 2.70 -7.99 0.24
H 4.65 -0.38 -6.12 0.22
H 5.55 1.09 -6.40 0.15
C -5.38 -7.30 0.50 0.65
O -4.33 -7.50 -0.09 -0.65
N -5.72 -6.10 0.99 -0.30
N -6.30 -8.27 0.70 -0.40
H -6.58 -5.91 1.48 0.15
H -5.06 -5.34 0.86 0.17
H -6.08 -9.19 0.35 0.23
H -7.17 -8.12 1.18 0.15
C 1.21 7.08 5.48 0.57
O 1.44 8.06 4.78 -0.70
N -0.03 6.76 5.89 -0.31
N 2.17 6.25 5.90 -0.35
H -0.24 5.96 6.46 0.19
H -0.78 7.37 5.59 0.18
H 3.12 6.45 5.62 0.21
H 2.00 5.44 6.48 0.18
C -5.37 3.24 5.14 0.66
O -4.58 3.43 6.06 -0.62
N -6.61 3.75 5.14 -0.42
N -5.06 2.51 4.06 -0.26
H -7.28 3.60 4.40 0.15
H -6.88 4.30 5.94 0.23
H -4.13 2.11 4.02 0.16
H -5.70 2.34 3.30 0.17
C 1.07 1.25 -3.70 0.52
O 1.62 0.17 -3.54 -0.62
N 0.17 1.74 -2.83 -0.39
N 1.33 2.05 -4.75 -0.31
H -0.29 2.63 -2.94 0.15
H -0.06 1.16 -2.03 0.24
H 2.01 1.73 -5.42 0.15
H 0.89 2.95 -4.89 0.14
C 4.57 -4.40 -9.48 0.68
O 4.03 -5.12 -8.66 -0.63
N 4.44 -3.06 -9.47 -0.30
N 5.34 -4.87 -10.47 -0.41
H 4.87 -2.45 -10.14 0.16
H 3.86 -2.66 -8.74 0.15
H 5.47 -5.88 -10.52 0.23
H 5.80 -4.29 -11.16 0.15
C 0.73 6.12 1.05 0.59
O 0.53 5.84 -0.12 -0.68
N 1.34 7.26 1.43 -0.30
N 0.36 5.31 2.06 -0.28
H 1.52 7.50 2.39 0.18
H 1.64 7.89 0.70 0.19
H -0.10 4.45 1.82 0.15
H 0.52 5.52 3.03 0.16
```

## Properties
E_LUMO in eV: 1.54
Calculated total energy in eV: -92543.0077
Total charge: -1
Maximum force in eV/A: 9.3

Entry 2:
Density functional theory data (ωB97M-V/def2-TZVPD) for 12 unconnected molecules or ions with the total composition C16H47N5O21.

Structure (XYZ):
```
89
Properties=species:S:1:pos:R:3:mulliken_charge:R:1
C 4.06 -5.49 -1.65 -0.67
N 5.40 -5.52 -2.28 0.79
O 6.34 -4.87 -1.76 -0.50
********
The entry goes on:

Coming down into Findochty, clouds were beginning to darken and it began to rain. Humph. Fortunately, there was a public convenience, so I took advantage of it and when I came back out, the rain was easing off. Looking at my timings I realised I wasn’t going to make it to my first support visit without my headtorch, so I phoned my long suffering OH to meet me in Buckie. I definitely lost some pace on this section and I was aware of some pain on my right heel. On arrival in Strathlene, which was my teatime stop, I arranged for my OH to come to me there instead. After I’d had something to eat, I braved having a look under my sock and found a fairly large double bubbly blister lurking there. So, it had to be dealt with and then some plasters stuck on top. Paracetamols popped and off I went again with my next meeting with the OH to be in Keith for a change of clothes before the proper night-time section.
As I arrived into Buckie I sensed that I needed to go to a proper toilet, so kept my fingers crossed that the harbour toilets might still be open as it was after 8pm. Hooray, Brucie Bonus, the door was open. Hallelujah.
Job done, and I strode up through Buckie, a new woman.
On my way out of Buckie, I was aware of a large group of boozy teenagers gathered in a park I had to walk past – fortunately, they were all having far too good a time to be bothered about the crazy walking lady. However, it did strike a note of unease into my mind.

Records of molecules, as found in the file >
____________
Computed, not measured: a structure of composition C4H15AgB2F6NO8S2, with ωB97M-V with the def2-TZVPD basis set.

Properties
- Strongest force on any atom: 3.80 eV Å⁻¹
- 2S+1: 2
- Charge: -2
- E_tot: -65582.6242 eV
- Lowest unoccupied orbital energy (alpha / beta): 4.204 / 3.575 eV
- HOMO energy (alpha / beta): -2.332 / -2.148 eV

```
39
Properties=species:S:1:pos:R:3:forces:R:3:lowdin_charge:R:1
Ag 0.364347 0.286209 -1.871003 1.547 -0.490 1.429 0.912
C -3.384056 -1.619762 0.827801 0.676 0.699 1.008 -0.649
F -3.256013 -2.764593 1.511469 -0.144 0.339 -0.460 0.120
F -3.404603 -1.863761 -0.473393 0.081 -0.386 -0.131 0.126
F -4.546800 -1.045603 1.139705 -0.469 -0.242 0.148 0.109
S -2.016994 -0.324617 1.234502 2.643 -0.796 -2.610 0.687
O -1.436924 -0.124772 -0.095318 -1.114 -0.285 1.651 -0.376
O -2.699744 0.812331 1.801679 0.214 -0.897 0.131 -0.305
N -0.813227 -1.193863 2.138835 -2.646 2.127 -0.734 -0.251
S -1.168436 -0.681426 3.602458 -0.343 0.736 1.965 0.557
O -0.794675 0.699739 3.908630 0.147 -1.588 -0.012 -0.326
O -2.511639 -1.065768 4.033183 0.690 -0.102 0.096 -0.353
C -0.020391 -1.766207 4.676525 -1.167 0.815 -2.026 -0.672
F 1.236421 -1.477763 4.372703 0.352 -0.197 0.549 0.136
F -0.288021 -1.488190 5.951318 0.366 -0.330 0.131 0.120
F -0.243573 -3.066183 4.422210 0.182 0.219 0.533 0.113
C 2.497050 3.328391 0.917903 0.263 0.306 0.341 -0.038
C 2.350265 2.142487 -0.029832 0.724 -1.345 -1.924 -0.706
O 3.350085 1.810285 -0.687080 0.072 0.570 1.001 -0.032
O 1.197219 1.630092 -0.243285 -0.886 0.779 1.002 -0.110
H 2.396469 4.184915 0.245945 -0.205 0.221 0.282 0.066
H 3.505437 3.386281 1.332248 0.151 -0.271 -0.346 0.057
H 1.851770 3.416343 1.792680 -0.563 -0.201 -0.415 0.059
B 1.869285 0.743400 -3.663772 0.697 0.768 -0.311 -0.481
H 1.415865 1.789626 -3.461803 -0.561 1.715 -0.053 -0.052
H 2.659767 0.686639 -4.502052 0.820 -0.023 -1.454 -0.051
H 2.415130 0.414768 -2.727952 1.325 -0.345 1.670 -0.065
H 1.039655 -0.013980 -3.816428 -2.082 -1.775 -1.203 -0.084
B 1.402897 -1.722532 -0.931289 0.570 -0.840 0.286 -0.411
H 2.539042 -1.719212 -0.736343 1.546 0.399 0.371 -0.018
H 0.928567 -0.907126 -0.316018 -0.848 1.442 2.129 -0.065
H 1.397609 -1.494418 -2.037579 0.167 -0.123 -2.832 -0.064
H 0.950650 -2.765732 -0.733725 -1.248 -1.221 0.129 -0.031
O -1.216618 -1.245907 -2.852603 -0.760 -0.210 -0.324 -0.075
H -1.150503 -2.025792 -3.414156 0.366 0.019 0.104 0.066
H -1.945007 -0.736021 -3.221730 -0.075 -0.078 0.149 0.036
O -1.233535 1.704669 -2.506842 -1.045 0.565 -0.500 -0.076
____________

I headed up the hill after Drybridge looking back to the absolutely stunning sunset over the Moray Firth. There were deer in the field beside me. These are moments that make these challenges all worth it.
The weird noises in the hills and woods I was heading into mind you were making my mind ever more uneasy and after about another ten minutes of hearing sounds like people were being murdered, I stopped and considered my situation. The next section was remote and I had hoped to be over it before dusk, which was not now going to happen. The following section after my support stop was not an area I wanted to be walking through in the dark either.
So, I made the decision to call it a day and retraced my footsteps back to where I could be rescued.
A smidgeon over 40 miles in the end in 16¾ hours.
Had I had a companion for the dark hours I definitely would have kept going, but I just didn’t feel safe, so I don’t regret the decision. I don’t know if I would have completed the 100, but I reckon I could’ve gotten 60-70 miles before my feet would’ve stopped in protest. If I’d realised how distracting the Facebook posts would have been, I wouldn’t have done them either, it seemed like a good idea at the time, but I definitely lost five minutes here and there which all added up.
Next time..… well, I don’t know if there will be a next time. Our local group are holding the Speyside 100 in a couple of years’ time so maybe I’ll do the marshals walk. Or I might try doing my Moray Meander later in the summer, perhaps with company …
What I did have to do was finish off my Race Across the Alps challenge – by only walking 40 miles, this still left me with another 15 miles required by close of play on the Sunday. Aaaargh.

Records of molecules from another source follow:
- - -
No. 1
Here is a structure of composition C28H47F3FeHgN7O14S in a non-equilibrium geometry from the OMol25 dataset. Energies are from ωB97M-V with the def2-TZVPD basis set.

Structure (XYZ):
```
102
Properties=species:S:1:pos:R:3:forces:R:3
Hg 3.79592 -1.72561 -0.43087 -0.3 -0.6 -0.4
Fe 1.80808 -4.90454 -1.72203 -0.1 3.0 3.5
O 3.38437 -3.56719 -1.76347 -0.1 -0.4 -0.9
H 3.05414 -3.20934 -2.61048 0.7 0.6 0.4
O 1.52627 -4.18518 0.18292 -0.2 -0.8 -1.9
H 0.78550 -3.54881 0.15421 0.4 -0.8 0.1
C -0.75225 -1.13855 -0.29690 2.1 -0.8 -2.4
F -1.96517 -1.21230 -0.81205 0.1 1.0 0.3
F -0.31072 0.04663 0.13108 -1.4 0.1 0.2
F -0.65752 -2.02331 0.65412 0.3 -0.3 0.4
S 0.55493 -1.43154 -1.78732 0.0 -0.6 -1.4
O 0.53095 -2.90161 -2.12956 -0.2 2.0 0.3
O 0.20770 -0.48748 -2.86261 -0.1 -1.7 1.8
O 1.86357 -1.02061 -1.20458 -1.3 0.1 0.3
C -2.87931 -4.40050 -5.21839 -0.1 2.0 -0.8
O -3.05665 -3.64661 -6.15891 -0.2 -1.0 -1.1
N -2.72297 -3.82258 -4.02266 0.0 0.1 1.9
C -2.44688 -4.57167 -2.82033 -0.7 -0.2 1.2
C -2.93394 -2.35017 -3.79499 0.8 -1.3 0.4
H -2.83208 -5.49751 -5.29934 0.1 0.1 0.3
H -2.85156 -5.58320 -2.78657 0.0 -0.1 -0.6
H -2.94894 -4.08972 -1.98142 -0.2 0.1 0.0
H -1.42620 -4.63552 -2.44319 0.5 0.2 -0.6
H -1.94585 -1.94099 -3.58440 0.0 0.4 -0.4
H -3.45546 -1.81584 -4.58911 0.2 -0.5 0.0
H -3.45714 -2.27458 -2.84176 -0.4 0.1 -0.1
C -3.28245 -3.55168 1.80286 -0.2 -1.8 -0.6
O -3.08178 -4.67482 1.26909 -0.3 2.7 1.2
N -4.46353 -2.89059 1.82700 0.7 -0.5 -0.1
C -5.62928 -3.48589 1.19431 0.5 0.9 0.2
C -4.53102 -1.54312 2.34042 -0.9 0.6 -1.0
H -2.56474 -2.95084 2.38258 0.6 -0.5 -0.3
H -6.50521 -3.32052 1.82160 0.0 -0.4 0.1
H -5.35713 -4.52909 1.03374 -0.5 0.1 -0.2
H -5.78878 -2.89904 0.28972 -0.3 -0.5 -0.5
H -3.64859 -0.93673 2.13620 0.4 -0.6 0.8
H -5.20928 -0.97241 1.70610 -0.6 -0.2 -0.1
H -4.95739 -1.50850 3.34298 0.5 0.2 0.2
C 5.70025 0.08447 -2.45650 0.7 0.2 -0.5
O 4.62230 -0.34068 -1.96610 1.0 0.6 -1.2
N 5.84831 0.55557 -3.71750 -1.5 -1.4 1.4
C 7.03909 1.00486 -4.39150 1.5 1.9 2.1
C 4.66212 0.52419 -4.55088 -0.5 0.6 0.1
H 6.61180 0.10548 -1.83938 -0.1 0.0 -0.2
H 6.94972 2.08872 -4.46473 -0.5 0.1 -1.2
H 7.44187 0.52786 -5.28499 -0.9 -0.3 0.1
H 7.85409 1.10055 -3.67405 0.3 -1.0 0.3
H 4.77361 -0.35643 -5.18347 -0.5 0.4 -0.5
H 3.74452 0.52043 -3.96258 0.2 -0.6 0.2
H 4.57057 1.49631 -5.03535 0.3 -0.3 -0.8
C 1.38315 2.73178 -4.19929 0.4 0.9 1.0
O 1.71820 3.24721 -5.24604 -0.4 -0.8 -0.4
N 1.69921 3.30615 -3.00664 0.7 0.6 0.0
C 2.28420 4.64971 -2.94201 0.3 -0.4 -0.1
C 1.31476 2.79258 -1.71573 0.0 -0.3 0.1
H 0.81057 1.81314 -3.99815 0.0 -0.3 -0.7
H 1.46164 5.35401 -2.81775 0.3 0.4 0.3
H 2.91126 4.95062 -3.78127 -0.6 -0.4 -0.5
H 3.01399 4.64180 -2.13241 -0.4 0.3 0.5
H 2.07878 3.08418 -0.99507 0.1 -0.2 0.1
H 0.38227 3.21442 -1.34074 -0.3 0.1 -0.1
H 1.23942 1.70537 -1.73571 -0.1 0.0 0.0
C 4.25612 0.88565 1.85212 -1.4 3.5 3.0
O 4.37104 0.33504 0.79417 0.3 -2.8 -2.4
N 3.12522 1.48374 2.31004 0.1 -0.9 -1.2
C 3.09877 2.37837 3.47286 -0.9 -0.7 0.2
C 1.81070 1.06103 1.79798 -0.9 -0.1 0.5
- - -

On the Sunday, off I went (with my running shoes on this time) and covered what would have been the end of my Moray Meander, finishing at the Duffus Castle with a smile and a well-deserved Moretti.
All’s well that ends well.